Three prophecies on Florida Basketball that foretold their doom against Colorado

Next to the piece, the page also holds calculated crystals:
/*
DFT (PBE-GGA) results for a relaxed structure of Dy4NiGe3.

a b c (Å): 4.020 4.158 10.711
angles (deg): 90.00 90.00 90.00
Space group Pmm2 (No. 25)
Asymmetric unit:
Dy (0.000, 0.000, 0.000) x1
Dy (0.000, 0.500, 0.486) x1
Dy (0.500, 0.000, 0.711) x1
Dy (0.500, 0.500, 0.218) x1
Ni (0.000, 0.000, 0.277) x1
Ge (0.000, 0.500, 0.768) x1
Ge (0.500, 0.000, 0.428) x1
Ge (0.500, 0.500, 0.934) x1

Summary:
Its total energy is -5.507 eV/atom.


Compound: Pr5Sm2Tm6
Source: Alexandria via LeMat-Bulk
Functional: PBE
Structure: optimized geometry

Cell lengths 11.6903, 20.5940, 3.6049 Å; angles 90.00, 90.00, 90.00 degrees
Space group Pbam (No. 55)
Inequivalent atoms, fractional coordinates:
Pr1 0.0000 0.0000 0.0000 (multiplicity 2)
Pr2 0.0834 0.2756 0.0000 (multiplicity 4)
Pr3 0.1996 0.5505 0.0000 (multiplicity 4)
Sm1 0.1729 0.7143 0.5000 (multiplicity 4)
Tm1 0.0626 0.4209 0.5000 (multiplicity 4)
Tm2 0.0773 0.1330 0.5000 (multiplicity 4)
Tm3 0.1789 0.8663 0.0000 (multiplicity 4)

The value obtained for the total magnetization is 0.00 μB/f.u. The value obtained for the energy is -4.53 eV per atom.


(1)
This record from Alexandria via LeMat-Bulk describes a relaxed CaZrZn4 crystal. The functional is PBE.

uncorrected energy = -2.775 eV/atom
density = 5.966 Mg/m³
formation energy from the elements = -167 meV/atom
total magnetic moment = 0.0 μB per cell

a b c (Å): 7.591 7.591 7.591
angles (deg): 90.00 90.00 90.00
Space group F-43m (No. 216)
Inequivalent atoms, fractional coordinates:
Ca: 0.000 0.000 0.000 [4 per cell]
Zr: 0.250 0.250 0.250 [4 per cell]
Zn: 0.123 0.123 0.623 [16 per cell]

(2)
This record from Alexandria via LeMat-Bulk describes a relaxed Ca2ZrZn2 crystal. The functional is PBE.

uncorrected energy = -2.987 eV/atom
density = 4.025 Mg/m³
formation energy from the elements = 33 meV/atom
total magnetic moment = 0.0 μB per cell

a b c (Å): 7.878 7.878 4.018
angles (deg): 90.00 90.00 90.00
Space group P4/mbm (No. 127)
Inequivalent atoms, fractional coordinates:
Ca: 0.167 0.333 0.000 [4 per cell]
Zr: 0.000 0.000 0.500 [2 per cell]
Zn: 0.135 0.635 0.500 [4 per cell]

(3)
This record from Alexandria via LeMat-Bulk describes a relaxed CaZrZn crystal. The functional is PBE.

uncorrected energy = -4.029 eV/atom
density = 4.309 Mg/m³
formation energy from the elements = -88 meV/atom
total magnetic moment = 0.0 μB per cell
distance to the lowest polymorph of the same formula = 0 meV per atom

a b c (Å): 3.463 3.463 25.290
angles (deg): 90.00 90.00 90.00
Space group I4/mmm (No. 139)
Inequivalent atoms, fractional coordinates:
Ca: 0.000 0.000 0.071 [4 per cell]
Zr: 0.000 0.000 0.211 [4 per cell]
Zn: 0.000 0.000 0.350 [4 per cell]
*/
Here the piece continues:

The warning signs were all there for the Gators to fail early

# Next to the page, the page also holds data records
5
Lattice="4.3691 0.0000 0.0000 0.0000 4.3691 0.0000 0.0000 0.0000 4.3691" Properties=species:S:1:pos:R:3 comment="PBE LaBe3Pd, relaxed" e_form_ev_per_atom=-0.1335 final_energy_ev_per_atom=-4.393 e_above_lowest_polymorph_mev_per_atom=0 pbc="T T T"
Be 2.1845 0.0000 0.0000
Be 0.0000 2.1845 0.0000
La 2.1845 2.1845 2.1845
Be 0.0000 0.0000 2.1845
Pd 0.0000 0.0000 0.0000

* * * * *

A relaxed structure of Ba4Zn, computed with PBE-GGA.

**Distance to the lowest polymorph of the same formula**: 0.074 eV per atom

Cell: 8.5647 15.2393 8.1634 Å, 90.00 90.00 90.00°
Space group Ccce (No. 68, origin choice 2)
Symmetry-distinct sites (fractional):
Ba  0.1665  0.1291  0.0584
Zn  0.0000  0.2500  0.7500

A relaxed structure of Pm12Pr7Tl, computed with PBE-GGA.

Cell: 12.5556 12.5556 15.6986 Å, 90.00 90.00 120.00°
Space group R-3 (No. 148, hexagonal axes)
Symmetry-distinct sites (fractional):
Pm  0.0352  0.1870  0.3078
Pm  0.0725  0.8120  0.9253
Pr  0.0000  0.0000  0.5000
Pr  0.0143  0.4334  0.1981
Tl  0.0000  0.0000  0.0000

For each record above, in turn, the calculated formation enthalpy at 0 K values are 20 157 meV per atom.
For each record above, in turn, the calculated calculated density values are 3.83 6.81 Mg/m³.

Denny Simmons / The Tennessean / USA

We know you come to Hail Florida Hail to read about Florida Basketball, but let's take a trip back to English class and the William Shakespeare play Macbeth. In it, the title character is given a set of prophecies from the witches, which seem outlandish, but all become true by the end of the play.

Likewise the warning signs for Florida were all in plain sight and while we didn't wish them to become true, alas the Gators lost to Colorado 102-100.

Florida Basketball: Wish It Could Not Be True, But It Is

Florida Would Be An Agent Of Chaos

We said all season that the Gators were going to be an exciting team in the NCAA Tournament one way or the other.

_Attached: calculated crystals_
'''
Below is crystalline TaAlAg at its relaxed geometry, with properties calculated at the PBE level.

Geometry as POSCAR:
```
TaAlAg
1.0
-6.121 -1.015 -2.158
-4.534 -1.888 -4.362
-0.474 -2.715 0.735
Al Ag Ta
1 1 1
Cartesian
-3.861 -2.778 -1.679
-10.595 -2.902 -6.476
-7.328 -2.842 -4.149
```

Computed properties:
volume: 50.9 Å³ per cell
density of states at the Fermi level: 1.678 states/eV/cell
space-group type: I4mm
formation energy: -41.4 meV per atom


This record from Alexandria via LeMat-Bulk describes LiOs2Se after structural relaxation. The functional is PBE-GGA.

- DOS(E_F) (states/eV/atom) = 1.38
- VASP energy (eV/atom) = -6.23
- raw formation energy (eV per atom) = 0.737

```
8
Lattice="7.5964 0.0000 0.0000 0.0000 7.5964 0.0000 3.7982 3.7982 2.3326" Properties=species:S:1:pos:R:3 pbc="T T T"
Li 3.7982 7.5964 1.1663
Li 3.7982 3.7982 0.0000
Os 1.3606 5.6973 0.5831
Os 5.6973 5.1588 1.7494
Os 6.2358 1.8991 0.5831
Os 9.4955 10.0340 1.7494
Se 0.0000 0.0000 0.0000
Se 7.5964 3.7982 1.1663
```

=====

This record from Alexandria via LeMat-Bulk describes MnIn2Fe after structural relaxation. The functional is PBE-GGA.

- formation enthalpy at 0 K (eV per atom) = 0.282
- DOS(E_F) (states/eV/atom) = 0.69
- VASP energy (eV/atom) = -5.50

```
4
Lattice="-0.8815 2.1392 -1.8421 -0.7925 -2.0397 -1.9895 -7.1882 -0.2636 3.1334" Properties=species:S:1:pos:R:3 pbc="T T T"
In -3.6305 -0.1332 1.5826
In -7.1518 -0.2623 3.1176
Mn -2.6340 -0.0161 -1.1325
Fe -6.2281 -0.1480 0.4342
```

=====

This record from Alexandria via LeMat-Bulk describes K2CdSb after structural relaxation. The functional is PBE-GGA.

- DOS(E_F) (states/eV/atom) = 0.63
- VASP energy (eV/atom) = -1.96
- energy above the lowest structure with this stoichiometry (kJ/mol of atoms) = 11.30
- raw formation energy (eV per atom) = -0.148

```
4
Lattice="-2.8920 -0.8636 -1.5867 -0.7776 -3.8037 3.4875 -4.0466 5.0629 4.6198" Properties=species:S:1:pos:R:3 pbc="T T T"
Sb -2.8464 -1.0679 2.1054
Cd -4.8697 1.4635 4.4153
K -1.9335 2.4191 2.2074
K -0.0898 0.1124 0.1025
```

=====

This record from Alexandria via LeMat-Bulk describes CaAgF4 after structural relaxation. The functional is PBE-GGA.

- DOS(E_F) (states/eV/atom) = 0.00
- VASP energy (eV/atom) = -4.60
- energy above the lowest structure with this stoichiometry (kJ/mol of atoms) = 0.00
- raw formation energy (eV per atom) = -2.542

```
12
Lattice="5.1834 -0.0620 -2.1127 -1.0180 4.8307 -2.6394 -0.2594 0.4019 6.7724" Properties=species:S:1:pos:R:3 pbc="T T T"
F 3.7600 1.8466 2.5908
F 0.0766 0.9159 0.9870
F 1.1246 4.8226 1.7964
F 3.8294 4.2548 1.0334
F 2.8511 2.7550 -1.3328
F 1.0549 2.4156 3.3532
F 0.1460 3.3241 -0.5704
F 2.7814 0.3481 0.2240
Ag 2.4620 0.1700 2.3299
Ag -0.6387 2.6163 2.0665
Ca 1.0414 1.1920 -1.1879
Ca 3.1240 3.5768 -3.5642
```


No. 1
Crystalline BeCrTe2I at its relaxed geometry, computed with GGA-PBEsol.

Structure (CIF):
```
data_BeCrTe2I
_chemical_formula_sum 'Be1 Cr1 Te2 I1'
_space_group_name_H-M_alt 'P 1'
_space_group_IT_number 1
'''
_Back to the piece_

We tweeted out back on March 10 that Florida was going to do something that would wind up on the One Shining Moment montage one way or the other.

It is safe to say that even though they pushed off to create the shot, Colorado's buzzer beater is going to make it one the montage in two weeks.

Beware Of Playing Four Games

We wrote prior to the SEC Tournament that it would benefit Florida to lose early in it. We noted that of the 13 previous teams from a Power Six conference to make the NCAA Tournament that played in four games in their respective conference tournament, only two had advanced past the Sweet 16.

What's more is that the previous five had all failed to advance past the first weekend, with four of the five all losing in the first round.

NC State still has a chance to break the prophecy after winning their first round game, but for Florida they joined the club of teams that played four games in their conference tournament and lost in the first round.

Beware Of The First Four

In 2001 the NCAA Tournament expanded to 65 teams after the formation of the Mountian West Conference. The bottom two teams to make the tournament had to square off in Dayton for the right to play within The Big Dance.

Then in 2011 the field expanded to 68, and started having the last four at-large bids to make the tournament face each other as well in Dayton to move.

Between having less rest and the fact they are one of the last teams to sneak into the tournament, it would be easy to dismiss the teams in the First Four.

However, since 2011, 2019 was the only season at least one team that won their First Four game did not also go on to win at least one more game in the tournament.

When First Four winner Colorado State got bounced, this left Colorado as the team to fulfill the prophecy.

